• Material:
********
No. 1
Density functional theory data (ωB97M-V/def2-TZVPD) for a structure of composition C29H40F6INO10S in a non-equilibrium geometry.

Its spin multiplicity is 1. The value obtained for the orbital gap is 7.380 eV. The value obtained for the LUMO energy is -0.72 eV.

Last column: Mulliken charge in e.
Element x y z (Å)
C1 4.879 -1.874 2.417  -0.961
C2 3.721 -2.693 2.913  0.712
O1 3.882 -3.609 3.670  -0.566
O2 2.472 -2.336 2.501  -0.241
C3 2.183 -2.714 1.145  0.392
C4 1.567 -4.111 1.055  -0.916
C5 0.864 -4.275 -0.309  -0.740
C6 -0.596 -4.756 -0.235  -0.820
C7 -1.457 -4.002 0.807  -0.955
C8 -2.650 -3.325 0.190  -0.570
C9 -3.793 -4.046 -0.102  -0.495
C10 -4.898 -3.421 -0.652  -0.932
C11 -4.872 -2.080 -0.942  -0.663
C12 -3.732 -1.334 -0.688  -0.125
C13 -2.642 -1.971 -0.127  1.083
S1 -1.155 -1.059 0.176  0.489
C14 -1.787 0.588 0.349  1.537
C15 -1.059 1.524 1.087  0.003
C16 0.222 1.149 1.751  -0.389
O3 0.286 0.259 2.557  -0.532
C17 1.533 1.944 1.462  0.767
F1 1.330 3.206 1.976  -0.339
F2 2.551 1.392 2.136  -0.221
C18 1.917 2.156 -0.024  0.494
F3 2.893 3.107 -0.041  -0.327
F4 0.870 2.627 -0.734  -0.274
C19 2.493 0.928 -0.761  1.009
F5 1.542 -0.029 -0.860  -0.111
F6 3.555 0.417 -0.106  -0.296
C20 2.968 1.328 -2.191  -0.134
O4 4.043 1.796 -2.397  -0.490
O5 2.065 1.072 -3.160  -0.402
C21 -1.545 2.813 1.192  -0.342
C22 -2.747 3.147 0.604  -1.297
C23 -3.460 2.220 -0.119  -0.573
C24 -2.982 0.924 -0.259  -0.205
N1 -3.758 0.041 -1.057  -0.694
I1 -3.281 0.243 -3.079  0.124
H1 4.584 -0.918 1.991  0.186
H2 5.575 -1.695 3.229  0.372
H3 5.419 -2.437 1.658  0.309
H4 1.465 -1.992 0.762  -0.508
H5 3.098 -2.656 0.552  0.449
H6 2.383 -4.829 1.105  0.423
H7 0.906 -4.257 1.903  0.461
H8 1.420 -5.018 -0.881  0.499
H9 0.904 -3.359 -0.900  0.277
H10 -0.634 -5.835 -0.097  0.403
H11 -1.042 -4.565 -1.212  0.463
H12 -1.855 -4.730 1.514  0.560
H13 -0.870 -3.302 1.394  0.711
H14 -3.816 -5.106 0.109  0.484
H15 -5.777 -4.015 -0.855  0.383
H16 -5.735 -1.603 -1.384  0.505
H17 2.490 0.572 -3.884  0.455
H18 -1.014 3.583 1.733  0.582
H19 -3.134 4.152 0.679  0.432
H20 -4.383 2.519 -0.586  0.644
C25 4.710 0.622 -5.284  -0.595
O6 3.446 0.031 -5.593  -0.542
H21 5.000 0.250 -4.306  0.225
H22 5.476 0.344 -6.011  0.342
H23 4.629 1.710 -5.230  0.282
H24 3.164 0.356 -6.454  0.276
C26 1.995 3.747 5.433  -0.263
O7 2.212 4.536 4.268  -0.550
H25 1.771 4.428 6.251  0.276
H26 1.149 3.068 5.299  -0.012
H27 2.888 3.170 5.690  0.252
H28 2.409 3.935 3.545  0.315
C27 -1.261 1.035 6.048  -0.711
O8 -1.093 1.837 4.886  -0.511
H29 -1.494 1.702 6.875  0.254
H30 -2.084 0.327 5.923  0.292
H31 -0.345 0.486 6.285  0.269
H32 -0.886 1.249 4.154  0.295
C28 1.322 1.080 -9.384  -0.531
O9 2.557 1.062 -8.669  -0.503
H33 1.191 0.099 -9.831  0.215
H34 0.482 1.280 -8.715  0.255
H35 1.342 1.831 -10.176  0.254
H36 2.677 1.933 -8.280  0.297
C29 -7.248 3.695 1.018  -0.610
O10 -6.375 2.601 0.749  -0.376
H37 -6.934 4.524 0.389  0.222
H38 -8.283 3.442 0.778  0.260
H39 -7.184 4.001 2.065  0.280
H40 -6.647 1.864 1.303  0.250

***

No. 2
Density functional theory data (ωB97M-V/def2-TZVPD) for the molecule C3H4O2.

Its structure (SMILES) is CC(=O)C=O. The calculation puts the relative energy (zero: lowest compared OMol25 entry of this formula, charge and spin) at 67.80 kJ/mol. Its spin multiplicity is 1. The value obtained for the orbital gap is 9.469 eV. The value obtained for the LUMO energy is -0.52 eV.

Last column: natural (NBO) charge in e.
Element x y z (Å)
C1 1.116 -0.311 0.237  -0.724
C2 -0.131 0.523 0.225  0.477
O1 -0.196 1.609 0.758  -0.490
C3 -1.388 0.012 -0.479  0.343
O2 -1.478 -1.095 -0.951  -0.472
H1 1.803 0.223 0.890  0.241
H2 1.549 -0.387 -0.768  0.246
H3 0.930 -1.334 0.584  0.247
H4 -2.205 0.760 -0.496  0.132

***

No. 3
Density functional theory data (ωB97M-V/def2-TZVPD) for the molecule C11H17N3O in a non-equilibrium geometry.
********
• Work order:
Now type out only the last part of the lines above, starting with the line that has "-0.106".
• Reply:
F6 3.555 0.417 -0.106  -0.296
C20 2.968 1.328 -2.191  -0.134
O4 4.043 1.796 -2.397  -0.490
O5 2.065 1.072 -3.160  -0.402
C21 -1.545 2.813 1.192  -0.342
C22 -2.747 3.147 0.604  -1.297
C23 -3.460 2.220 -0.119  -0.573
C24 -2.982 0.924 -0.259  -0.205
N1 -3.758 0.041 -1.057  -0.694
I1 -3.281 0.243 -3.079  0.124
H1 4.584 -0.918 1.991  0.186
H2 5.575 -1.695 3.229  0.372
H3 5.419 -2.437 1.658  0.309
H4 1.465 -1.992 0.762  -0.508
H5 3.098 -2.656 0.552  0.449
H6 2.383 -4.829 1.105  0.423
H7 0.906 -4.257 1.903  0.461
H8 1.420 -5.018 -0.881  0.499
H9 0.904 -3.359 -0.900  0.277
H10 -0.634 -5.835 -0.097  0.403
H11 -1.042 -4.565 -1.212  0.463
H12 -1.855 -4.730 1.514  0.560
H13 -0.870 -3.302 1.394  0.711
H14 -3.816 -5.106 0.109  0.484
H15 -5.777 -4.015 -0.855  0.383
H16 -5.735 -1.603 -1.384  0.505
H17 2.490 0.572 -3.884  0.455
H18 -1.014 3.583 1.733  0.582
H19 -3.134 4.152 0.679  0.432
H20 -4.383 2.519 -0.586  0.644
C25 4.710 0.622 -5.284  -0.595
O6 3.446 0.031 -5.593  -0.542
H21 5.000 0.250 -4.306  0.225
H22 5.476 0.344 -6.011  0.342
H23 4.629 1.710 -5.230  0.282
H24 3.164 0.356 -6.454  0.276
C26 1.995 3.747 5.433  -0.263
O7 2.212 4.536 4.268  -0.550
H25 1.771 4.428 6.251  0.276
H26 1.149 3.068 5.299  -0.012
H27 2.888 3.170 5.690  0.252
H28 2.409 3.935 3.545  0.315
C27 -1.261 1.035 6.048  -0.711
O8 -1.093 1.837 4.886  -0.511
H29 -1.494 1.702 6.875  0.254
H30 -2.084 0.327 5.923  0.292
H31 -0.345 0.486 6.285  0.269
H32 -0.886 1.249 4.154  0.295
C28 1.322 1.080 -9.384  -0.531
O9 2.557 1.062 -8.669  -0.503
H33 1.191 0.099 -9.831  0.215
H34 0.482 1.280 -8.715  0.255
H35 1.342 1.831 -10.176  0.254
H36 2.677 1.933 -8.280  0.297
C29 -7.248 3.695 1.018  -0.610
O10 -6.375 2.601 0.749  -0.376
H37 -6.934 4.524 0.389  0.222
H38 -8.283 3.442 0.778  0.260
H39 -7.184 4.001 2.065  0.280
H40 -6.647 1.864 1.303  0.250

***

No. 2
Density functional theory data (ωB97M-V/def2-TZVPD) for the molecule C3H4O2.

Its structure (SMILES) is CC(=O)C=O. The calculation puts the relative energy (zero: lowest compared OMol25 entry of this formula, charge and spin) at 67.80 kJ/mol. Its spin multiplicity is 1. The value obtained for the orbital gap is 9.469 eV. The value obtained for the LUMO energy is -0.52 eV.

Last column: natural (NBO) charge in e.
Element x y z (Å)
C1 1.116 -0.311 0.237  -0.724
C2 -0.131 0.523 0.225  0.477
O1 -0.196 1.609 0.758  -0.490
C3 -1.388 0.012 -0.479  0.343
O2 -1.478 -1.095 -0.951  -0.472
H1 1.803 0.223 0.890  0.241
H2 1.549 -0.387 -0.768  0.246
H3 0.930 -1.334 0.584  0.247
H4 -2.205 0.760 -0.496  0.132

***

No. 3
Density functional theory data (ωB97M-V/def2-TZVPD) for the molecule C11H17N3O in a non-equilibrium geometry.